"Many schools appear to have a fascinating and haunted past that still captures our imagination."

Years after students have left school, you will still hear them discussing one aspect of their teenage lives with great intensity and conviction. In Singapore’s schools, there are spooky stories and supernatural experiences that give people goosebumps for life. Many schools appear to have a fascinating and haunted past that still captures our imagination. Within their walls, ghostly figures appear, strange sounds echo, and eerie encounters unfold, creating a collection of ghost stories deeply woven into the culture of Singapore schools. These supernatural tales have been passed down through generations, whispered among students and teachers.
Let’s explore the supernatural realm together and discover eight of the scariest ghost stories that have become a part of the shared folklore that thrives within Singapore’s schools.
1. The Ghost of Old Admiralty Secondary School

Old Admiralty Secondary School, which closed in 1994, is known as one of the most haunted schools in Singapore. According to legend, the spirit of a deceased student still haunts the empty halls. Visitors have reported hearing footsteps and whispers with no visible source. Some even claim to have seen objects move on their own, creating a chilling atmosphere linked to the school’s ghostly history.
2. The Haunted Classroom at CHIJ St. Nicholas Girls’ School

CHIJ St. Nicholas Girls’ School has a classroom with an eerie reputation. Many students have seen a ghostly figure sitting at one of the desks, even when no one else is present. The room carries an unsettling presence, and some students have heard strange laughter coming from nowhere, sparking curiosity and unease about the supernatural happenings in that classroom.
3. The Mysterious Piano at Victoria School

At Victoria School, there is a captivating story about a mysterious music room. According to the tale, a former music teacher who loved playing the piano has left behind a supernatural presence. When night falls, the music room comes alive with an eerie enchantment as the piano starts playing by itself. The haunting melody echoes through the corridors, mesmerising those who listen and leaving them with a lingering sense of the supernatural.
4. The Crying Child of Nan Chiau High School

Nan Chiau High School has the haunting legend of a ghostly child’s sorrowful cries. Students and teachers have heard the heartbreaking sobs in the school’s quiet corridors. The unexplained weeping creates an eerie and sombre atmosphere as it echoes through the hallways. Even though the ghostly child’s origins are unclear, those who hear its eerie screams are left feeling both sympathetic and uneasy. Harry Potter’s ‘Moaning Myrtle’ definitely comes to mind…
5. The Headless Statue at Raffles Institution

Raffles Institution, a school with a rich history, has a spooky story about a haunted statue. The statue of Sir Stamford Raffles, an important figure from Singapore’s history, is said to sometimes appear without a head at night. The sight of the headless statue terrifies those who see it, leaving them wondering about the mysterious haunting.
6. The Haunted Lake and Labyrinth of Chung Cheng High School

Attached: records of molecules:
********
A molecular structure, C6H22BClCoO6 in a non-equilibrium geometry, computed with ωB97M-V/def2-TZVPD.

Computed properties:
Gap between HOMO and LUMO (spin up / spin down) ... 5.9 / 5.8 eV
LUMO energy (spin up / spin down) ... -3.089 / -3.236 eV
Relative energy (zero: lowest compared OMol25 entry of this formula, charge and spin) ... 275.2 kJ/mol
2S+1 ... 4
⟨S²⟩ ... 3.76

Atoms and positions in Å:
Co1 2.82679 1.96164 1.80744
Cl1 1.08759 0.17546 1.10283
O1 -0.00294 1.39687 -1.84940
O2 -3.03941 -1.90271 -1.76827
O3 2.58922 -5.85710 0.54900
O4 0.88868 -2.95638 1.99254
O5 -3.33100 0.91378 -0.69602
O6 -2.16587 3.35714 -1.65285
C1 -2.57593 -0.18907 -0.11327
C2 0.25627 2.80616 -1.65008
C3 -2.03791 -1.21641 -1.08738
C4 1.73044 -3.61846 1.06613
C5 1.66136 -5.17807 1.35842
C6 -0.90100 3.57691 -2.34530
B1 1.56589 3.69602 1.86868
H1 0.69919 -5.62769 1.11314
H2 2.75820 -3.28148 1.20127
H3 0.40295 2.93358 -0.57754
H4 -3.33162 -2.66846 -1.26843
H5 0.28595 0.89212 -1.08562
H6 3.35248 -6.13508 1.06062
H7 1.19361 3.07522 -2.13701
H8 -1.74433 0.25178 0.43645
H9 -1.39940 -0.75892 -1.84310
H10 0.82222 4.47092 1.76511
H11 2.06442 3.51800 0.92845
H12 -0.52500 4.59916 -2.30358
H13 1.13797 2.79503 2.28017
H14 -2.71606 1.61421 -0.92590
H15 0.68709 -2.04341 1.77475
H16 1.35769 -3.54659 0.04437
H17 2.32002 4.00122 2.57748
H18 -1.46772 -1.91413 -0.47404
H19 -2.06609 3.62055 -0.73510
H20 1.81825 -5.37769 2.41844
H21 -0.90909 3.27464 -3.39252
H22 -3.29288 -0.65888 0.56004

Cartesian forces (eV/Å) of the 6 atoms listed first:
-3.629 0.116 -0.762
1.859 1.280 0.524
0.051 0.563 -0.353
-0.780 -0.506 -0.761
0.575 -0.242 -0.355
-0.287 -0.702 0.447

=====

6 unconnected molecules or ions with the total composition C6H22Cl2O5 in a non-equilibrium geometry, computed with ωB97M-V/def2-TZVPD.

Computed properties:
Gap between HOMO and LUMO ... 9.7 eV
LUMO energy ... 0.468 eV
SMILES ... ClCCl.CO.CO.CO.CO.CO

Atoms and positions in Å:
Cl1 0.43539 -1.20221 2.03376
Cl2 0.49333 -2.25889 -0.73814
O1 4.17801 -0.88050 0.36051
O2 -3.77609 -0.60793 -0.75419
O3 2.79319 0.48958 -1.43353
O4 0.24371 2.28091 -1.40178
O5 -3.96429 -1.18909 1.98231
C1 3.68196 -0.97412 1.72571
C2 -0.05208 -0.96145 0.33483
C3 0.44434 3.71203 -1.25735
C4 -3.86862 -1.92241 -1.27728
C5 3.49630 1.18574 -2.44412
C6 -3.15116 -0.83830 3.07747
H1 3.65437 -0.37827 -0.26812
H2 2.13176 1.09124 -1.08408
H3 3.05236 -0.13769 2.02918
H4 0.43266 -0.02834 0.04772
H5 -1.13668 -0.85842 0.30120
H6 -4.06152 -0.68732 0.15895
H7 -0.37195 4.02699 -0.60729
H8 -3.15334 -2.58936 -0.79597
H9 0.43995 4.25589 -2.20197
H10 3.64669 2.25954 -2.55570
H11 -3.68374 -0.25126 3.82569
H12 4.47771 0.71344 -2.48726
H13 -4.85472 -2.30974 -1.02099
H14 2.95804 0.90518 -3.34947
H15 4.50419 -1.09937 2.43023
H16 3.04720 -1.85474 1.82404
H17 -4.06557 -2.14331 1.95409
H18 -0.64710 2.12022 -1.72153
H19 -2.66921 -1.63596 3.64277
H20 -2.33458 -0.17517 2.79191
H21 -3.71253 -1.99410 -2.35366
H22 1.39195 3.93718 -0.76802

Cartesian forces (eV/Å) of the 6 atoms listed first:
********
End of the records of molecules:

There are some fairly creepy stories going around at Chung Cheng High School. According to some, it is haunted by the spirits of Japanese soldiers. The school has a big lake. Legend has it that if you walk around it three times and ring a nearby bell three times, a creepy mermaid might pop up from the water.
Inside the school’s auditorium, a labyrinthine network of interconnected doors and winding passages exists. According to local legend, these rooms may have had a dark background, possibly serving as torture chambers in the past.
7. The Moving Mannequin at Paya Lebar Methodist Girls’ School

At some point in the past, a mannequin was placed in the classroom to remember a girl after she died by suicide. The mannequin wore her uniform and had her name tag. The classroom was located on the ground floor and faced the track and field. Students noticed something peculiar during their physical education classes – the mannequin always seemed to be facing them, despite its original positioning towards the front of the class.
8. The “White House” of Montfort Secondary School

The “White House,” a historic structure that houses the school and is located in Hougang, is rumoured to be haunted. Students and workers who have been inside the structure have claimed to have heard eerie footsteps, strange noises, and seen apparitions. Some speculate that the ghostly presence may be connected to the school’s past or prior residents.
For more horror stories, check out 5 of the Creepiest School Ghost Stories in Asia and Uncover the Top 8 Haunted Locations in Singapore.